Today I went for a trail run. I ran just under 22 miles on the San Joaquin River Trail. The trail is about 20 mins away from my house and I really enjoy running on it.
I met up with Kelly and Louis and ran the first few miles of my run with them, and it was really nice having company at the start of my run. The three of us were able to knock out the early miles pretty fast. Around mile 4.5 Kelly and Louis turned around on the trail and headed back to the car. I still had a few miles ahead of me, so I set off to run the next few miles solo.
I really enjoy running on the trails by myself. Most of the time I'm out on the trail I'm able to clear my head and refocus. There's something very comforting about running on the trail and looking at the mountains, the trees, the river, and just being able to take it all in. There are times out on the trail when everything just seems to feel all synced up. I'm able to get lost in the moment and the miles just fly by.
Sometimes I stop in the middle of a run and just look at the mountains and think about how lucky I am to be out there running on the trails. I never take a moment on the trail for granted, even when I'm suffering on it.
Until next time...
I took the day off from running today. Instead of running I decided to get in a workout on my bike using my bike trainer and riding in the garage for an hour.
My goal today was to keep a cadence of 100 rpm during my entire workout.
I started in a gear where 100 rpm felt good, but slightly uncomfortable and I kept that up for 20 mins. After that 20 mins was done I dropped down a gear on my bike to increase the resistance on the trainer and maintained the 100 rpm at a more difficult effort.
My original plan was to ride the final 20 mins in the next gear, making the effort once again more difficult, but I decided that 10 mins would be a better idea because I have a long run planned this weekend and don't want to get hurt riding my bike.
The next 10 mins in the more difficult gear were pretty hard. Keeping up with the 100 rpm wasn't very easy. I kept say to myself "You can do this!!!" I started out just saying this in my head, but twords the last 2 mins of this 10 min effort I was having to say it out loud to myself.
# Someone pasted materials data at this point
********
## Cd2FeIO6 (GGA+U)

Data for a relaxed Cd2FeIO6 crystal.

Calculated values
M_tot = 5.0 μB/f.u.
Calculated total energy = -4.71 eV/atom
Symmetry = P2_1/c (14)

Cell lengths 5.532, 5.652, 9.712 Å; angles 90.00, 124.24, 90.00 degrees
Atoms (fractional coordinates):
Cd (0.235, 0.047, 0.248)
Cd (0.235, 0.453, 0.748)
Cd (0.765, 0.547, 0.252)
Cd (0.765, 0.953, 0.752)
Fe (0.000, 0.000, 0.500)
Fe (0.000, 0.500, 0.000)
I (0.500, 0.000, 0.000)
I (0.500, 0.500, 0.500)
O (0.132, 0.204, 0.939)
O (0.132, 0.296, 0.439)
O (0.237, 0.698, 0.938)
O (0.237, 0.802, 0.438)
O (0.360, 0.052, 0.746)
O (0.360, 0.448, 0.246)
O (0.640, 0.552, 0.754)
O (0.640, 0.948, 0.254)
O (0.763, 0.198, 0.562)
O (0.763, 0.302, 0.062)
O (0.868, 0.704, 0.561)
O (0.868, 0.796, 0.061)
********
My goal was to ride for an hour so I needed to figure out how to end the last 10 mins of my ride.
I decided to ride 2 mins 30 secs in the gear I started in, 2 mins 30 secs in the 2nd gear, 2 mins 30 secs in the hard gear, and then I ended in the easy gear for 2 mins 30 secs to cool down.
I'm not much of a cyclists, and really have no idea what I'm doing on a bike. For me riding my bike is just a way to balance out my training. I'm starting to push my bike workouts more and more lately. I'm excepting the fact that my workout lately aren't easy, and that they hurt... and I'm ok with that.
There are a few races coming up that I really want to do well in, and I'm doing what I need to do to hopefully be successful in those races.
Sometimes I just have to remind myself during those workouts that I can handle the pain and to keep pushing hard. The more comfortable I become with being uncomfortable, the better I'll do during my races.
Hard workouts aren't easy, and they shouldn't be. I know what I need to do to have a successful run at my next race, and sometimes I have to remind myself that I can handle the pain and discomfort.
Sometimes I just have to tell myself, "You can do this!"
Until next time...
Today I went on a solo training run up on the San Joaquin River Trail that's located just about 20 mins from my house.
I've been feeling a lot more focused lately and more centered. My workouts have been more intense and purposeful. I've been running pretty well for the last couple of weeks and I'm feeling pretty strong. My training partners (running and jiu jitsu) have been pushing me outside of my comfort zone, and I'm becoming more and more comfortable with the discomfort of pushing myself physically harder again.
I'm starting to eat healthier again, especially since I have a race coming up in a few weeks, and I'm feeling pretty good. I've started meditating again everyday and playing chess as well. My head feels less cloudy and I'm feeling more and more centered again.
During my trail run today I felt pretty good. I was focused on the trail, and ran a little faster than I normally do. The miles flew by and I was totally "in the moment" during my run. I ran as hard as I could up and down the trail and took in the magnificent views along the way.
I got back to my car about 30 mins faster than I had planned. I felt pretty good about how my 16 mile run had gone, and felt even better about the head space I was in during the run.
I'm going to try to hit the trail again on Sunday, and hopefully I'll be able to take some company with me. As much as I enjoy hitting the trail alone and clearing my head, sometimes it's nice to share the experience with my friends.
Until next time...